As the world battles to reach a scientific breakthrough in the fight against COVID-19, scientists are turning to computing resources to accelerate their research. To help make the process for scientists more accessible, we’re spotlighting a few of the GPU-accelerated applications that developers can use right now in the fight against this virus.
Applications like AMBER, GROMACS, NAMD, and LAMMPS are some of the popular molecular dynamics simulation applications that leverage Newton’s laws to evaluate molecular motion at the atomic level.
Today, these applications are more pivotal than ever in the fight against COVID-19. Molecular dynamics simulations offer accurate approximations of real molecular behavior, which is useful in different stages of drug development. They are used to simulate proteins and lipids and they shed light on how drugs might bind to a protein.
These molecular modelling applications are well-suited for GPUs because they lend themselves to data-parallel implementations. Simulations in these applications can run for several hundred nanoseconds. The ability to run longer simulations in less time is of extreme importance because it can show that the drug was able to modify the behavior of the protein without causing any side effects. For example, events such as folding and docking can take micro- and milliseconds to occur. A simulation that gets cut short because of limited compute power may miss these important aspects of protein and compound simulations.
GROMACS—one of the most widely used HPC applications—has received a major upgrade with the release of GROMACS 2020. The new version includes exciting new performance improvements (up to 3x faster) resulting from a long-term collaboration between NVIDIA and the core GROMACS developers.
To learn more about running the latest GPU-optimized version of GROMACS, see Creating Faster Molecular Dynamics Simulations with GROMACS 2020, published recently on the NVIDIA Technical Blog.
/*
Structure and theoretical PXRD pattern of PRu2C (DFT lattice parameters and positions (PBE); Cu Ka).
Intensities are scaled so that the largest is 100.

Most intense lines, 2θ = 10–90°, in order of rising 2θ:
d_spacing, 2θ/deg, Rel. int., (hkl)
2.813, 31.81, 100, 1 1 2
2.486, 36.13, 18, 2 0 0
2.164, 41.75, 14, 2 1 1
1.758, 52.03, 14, 2 2 0
1.706, 53.73, 27, 2 0 4
1.491, 62.28, 18, 3 1 2

Structural model:
Cell: 4.9722 4.9722 9.3812 Å, 90.00 90.00 90.00°
Fractional positions:
P1 0.0000 0.0000 0.0000
P2 0.0000 0.5000 0.2500
P3 0.5000 0.0000 0.7500
P4 0.5000 0.5000 0.5000
Ru1 0.1988 0.2500 0.6250
Ru2 0.2500 0.6988 0.8750
Ru3 0.2500 0.8012 0.3750
Ru4 0.3012 0.2500 0.1250
Ru5 0.6988 0.7500 0.1250
Ru6 0.7500 0.1988 0.3750
Ru7 0.7500 0.3012 0.8750
Ru8 0.8012 0.7500 0.6250
C1 0.0000 0.0000 0.5000
C2 0.0000 0.5000 0.7500
C3 0.5000 0.0000 0.2500
C4 0.5000 0.5000 0.0000
*/
== So much for the materials data ==
The NVIDIA HPC Application Performance page provides performance details by datasets and system configurations that developers can refer to as a starting point.
Scientific community battles to disable COVID-19
When the virus first broke out, researchers started using the world’s fastest computing resources to run their simulations.
Using molecular dynamics applications like GROMACS on the world’s fastest supercomputer, Summit, which is powered by more than 27,000 NVIDIA V100 GPUs, Oak Ridge National Laboratory (ORNL) researchers identified 77 small-molecule drug compounds.
Those compounds are likely to bind to the glycosylated spike (S) protein, which is how the virus enters host cells.

The good news is that the same NVIDIA V100 GPUs used in that project are available on the cloud to run GROMACS and the many other GPU-accelerated applications that can be used to explore solutions from multiple directions.
Helping researchers accelerate their work on the cloud
Democratizing access to supercomputing power in the science community has been the NVIDIA vision with the CUDA ecosystem. The NGC registry of containers provides easy access and simplifies deployments of scientific applications on GPU-powered systems, including cloud instances.
Several cloud service providers (CSP) have pledged support to find a cure for COVID-19. The ability to run applications like GROMACS, NAMD, and LAMMPS on NVIDIA V100 or T4 GPUs in those services can dramatically jumpstart the time for scientific computing.
Join the fight against COVID-19
Take advantage of the various molecular dynamics and genomics applications, healthcare SDK, and machine learning software from NGC to ramp up your research and fight COVID-19 on NVIDIA V100 and T4-powered cloud instances from your CSP.
Related NVIDIA corporate blog post: NVIDIA Brings GPU, HPC and AI Expertise to COVID-19 Battle